Patient-Centric Websites: Strategies for Building Stronger Connections

In the era of digital healthcare, the accessibility of hospital and health system websites has become a critical factor in delivering exceptional patient experiences. Accessible platforms help ensure that all patients—regardless of physical, cognitive, or technological limitations—can access vital health information and services seamlessly. 

For healthcare organizations, a commitment to inclusivity isn’t just a legal obligation under laws like the Americans with Disabilities Act (ADA). It’s also a cornerstone of patient-centered care, reflecting a health system’s commitment to serving every member of its community. 

According to the CDC, nearly 3 in 5 U.S. adults use the Internet to search for health information, demonstrating widespread demand for easy-to-access resources. Yet, recent studies have shown people experience various degrees of frustration as they seek that information—frustration that fluctuates based on age, race, primary language, socioeconomic status, and disability. Creating a digital presence that welcomes users across all abilities sets the tone and pace with which patients can connect with their providers. 

Key Drivers of Digital Accessibility in Healthcare

Traditional Accessibility: Readability and WCAG Compliance

The foundation of an accessible website lies in both its readability and conformance to the Web Content Accessibility Guidelines (WCAG). 

Readability refers generally to using inclusive language, organizing content clearly,  ensuring that medical information is easy to understand, and avoiding complex jargon that can alienate patients. 

WCAG conformance, on the other hand, provides a structured approach to make content and functions accessible to people with various disabilities, including visual, auditory, physical, speech, cognitive, language, learning, and neurological disabilities. 

While there’s a lot to know about accessibility, the good news is we’ve written about most of it at Oomph. Check out our articles on WCAG 2.2, writing for the web, the power of accessible web navigation, and building an accessible color palette to learn more.  

Serving an Evolving Demographic 

The aging baby boomer generation is on the cusp of massive healthcare utilization, with 80% of adults 65 and older experiencing at least one chronic condition. Despite their less-than-tech-savvy reputation, boomers do utilize digital platforms to access healthcare information. 

When you create an accessible healthcare website, you make your hospital or health system available to an older population with age-related impairments like vision loss, hearing loss, or mobility challenges that can make using a mouse or keyboard difficult. Thoughtfully integrating accessible elements like high-contrast colors and larger fonts can help your organization win the loyalty of older adults, supporting long-term success in a crowded marketplace.  

Website Uptime: Ensuring Constant Access

In critical situations, the availability of a healthcare website can be as vital as the accuracy of the information it provides. High website uptime means your information and services are always accessible, especially during emergencies. This reliability builds trust and can be crucial in time-sensitive situations where access to healthcare information or services can significantly impact patient outcomes.

Language and Translation Services: Bridging Communication Gaps

As racial and ethnic diversity grows across the U.S., offering translation services and multilingual content on healthcare websites is crucial. Your content will reach a wider audience and ensure non-native speakers have equal access to health information, reducing health disparities and improving patient outcomes.

Interactive Features: Scheduling and Wait Times

Integrating features like appointment scheduling and displaying emergency department wait times can also enhance the patient experience. For example, online scheduling allows patients to book appointments without needing to call during business hours, while real-time emergency department updates can help patients anticipate and plan around wait times. 

These functionalities should be designed with all users in mind, ensuring they are accessible to people with disabilities and facilitating a smoother healthcare journey for every patient.

6 Strategies for Improving Website Accessibility

_Inserted here: records of crystals_
- - -
Mg2ZrCu | PBE | relaxed

Results
The value obtained for the formation energy is 17 meV per atom.

```
Mg2ZrCu
1.0
-2.3665 2.3665 3.3234
2.3665 -2.3665 3.3234
2.3665 2.3665 -3.3234
Mg Zr Cu
2 1 1
direct
0.0000 0.0000 0.0000
0.7500 0.2500 0.5000
0.5000 0.5000 0.0000
0.2500 0.7500 0.5000
```

* * * * *

[1]
A plane-wave DFT calculation with PBE was carried out for a relaxed La3Al2 crystal.

Computed properties:
Energy of formation from the pure elements = -0.193 eV/atom
Calculated volume = 29.0 Å³/atom

Cell lengths 9.8679, 8.6806, 6.4917 Å; angles 79.72, 59.95, 40.34 degrees
Atoms (fractional coordinates):
Al1 0.3493 0.5623 0.1991
La1 0.3758 0.4271 0.7268
Al2 0.8893 0.1991 0.5623
La2 0.4703 0.7268 0.4271
Al3 0.6877 0.9007 0.3607
La3 0.9153 0.0847 0.0847
La4 0.8229 0.8742 0.7797
Al4 0.0509 0.3607 0.9007
La5 0.5232 0.7797 0.8742
La6 0.1653 0.3347 0.3347



[2]
A plane-wave DFT calculation with PBE was carried out for a relaxed LaAl crystal.

Computed properties:
Energy of formation from the pure elements = -0.158 eV/atom
Calculated volume = 27.2 Å³/atom

Cell lengths 3.4500, 3.4500, 9.1249 Å; angles 90.00, 90.00, 90.00 degrees
Atoms (fractional coordinates):
Al1 0.7500 0.7500 0.9245
La1 0.2500 0.2500 0.6817
Al2 0.2500 0.2500 0.0755
La2 0.7500 0.7500 0.3183



[3]
A plane-wave DFT calculation with PBE was carried out for a relaxed La2Al3 crystal.

Computed properties:
Energy of formation from the pure elements = -0.285 eV/atom
Calculated volume = 28.1 Å³/atom

Cell lengths 8.4937, 8.4937, 8.4937 Å; angles 30.55, 30.55, 30.55 degrees
Atoms (fractional coordinates):
Al1 0.0000 0.0000 0.0000
La1 0.5879 0.5879 0.5879
Al2 0.1596 0.1596 0.1596
Al3 0.8404 0.8404 0.8404
La2 0.4121 0.4121 0.4121



[4]
A plane-wave DFT calculation with PBE was carried out for a relaxed La5Al crystal.

Computed properties:
Energy of formation from the pure elements = -0.075 eV/atom
Calculated volume = 32.5 Å³/atom

Cell lengths 6.2538, 6.2538, 5.7502 Å; angles 90.00, 90.00, 120.00 degrees
Atoms (fractional coordinates):
Al1 0.3333 0.0000 0.5000
La1 0.3333 0.6969 0.0000
La2 0.6365 0.3031 0.0000
La3 0.0000 0.3333 0.5000
La4 0.6667 0.6667 0.5000
La5 0.0302 0.0000 0.0000



[5]
- - -

Institutions across the landscape, like the Mayo Clinic, have structured their online presence to offer a wide array of patient-centered services, including appointment requests, doctor searches, and access to health libraries directly from their home page. Embracing this type of comprehensive digital engagement strategy underscores that hospital websites aren’t just supplementary channels, but also pivotal access points for patient care and information​.

If your health system or hospital is ready to enhance accessibility, here’s where to start:

  1. Conduct a Comprehensive Accessibility Audit: Use tools like SortSite to identify areas where your website may not meet accessibility standards.
  2. Focus on High-Impact Webpages: Prioritize pages such as the homepage, contact information, service descriptions, patient portals, and emergency services. These pages are often the first point of contact for patients seeking information or services.
  3. Engage Diverse User Groups in Testing: Include people with various disabilities and age ranges in your testing process to gain insights into your website’s real-world usability.
  4. Educate the Digital Team: Ensure that everyone involved in web design and content creation is familiar with accessibility principles, tools, and best practices for maintaining an accessible website.
  5. Embrace Continuous Improvement: Digital accessibility should be an ongoing commitment. Regularly update your content and features to meet evolving standards and user needs. Working with an agency partner who understands the essential and evolving requirements and best practices of accessibility and UX can keep your digital environments current and compliant.
  6. Leverage Generative AI: Generative AI remains a hot-button issue across many industries, including healthcare. There is even a risk of discrimination or bias if AI algorithms are not accurately trained, potentially compounding access to care for vulnerable and underrepresented communities. Yet, there are several options to adopt AI that can help increase patient access and decrease frustration with administrative tasks for team members while not involving AI in clinical domains. Examples include utilizing generative AI tools to improve content accessibility and delivery, such as helping to ensure medical content aligns with health literacy levels. AI can also create alt text for images or generate patient appointment reminders to ensure timely preventive care. Additionally, AI-powered chatbots that are appropriately trained and maintained have the potential to provide real-time assistance to users, guiding them through the website and answering their queries in multiple languages.

Turn Web Accessibility Into A Tool for Patient Well-Being

Information is power in the digital age, so making your website accessible isn’t just good practice—it’s essential. By prioritizing accessibility, healthcare systems and hospitals can ensure that their digital platforms serve all patients equitably, enhancing patient experience, health outcomes, and business performance.

Are you wondering whether your healthcare website is truly accessible or if you need help getting there? Let’s talk


More about this author

Lauren Capizzo

Account Director, Health & Wellness

Having spent the last 15 years working in health care quality and digital product solutions, I understand the challenges of introducing new systems into organizations large and small. I also believe that having a well designed, customer-focused digital presence is no longer a novelty for companies in the health and wellness space — it's a necessity.

As a collaborative, creative problem solver, I love helping clients build digital solutions with the greatest possible impact. The key is to create experiences that are laser-focused on your customers’ needs. That really hit home for me during the pandemic, when I led a team to build an award-winning digital health solution that remotely connected patients with their care teams.

## Attached: data records
-- begin --
Computed, not measured: a crystal of Nb2FePtO relaxed with PBEsol at the SCAN level of DFT.

Structure (POSCAR):
```
Nb2FePtO
1.0
-1.8493 3.1535 0.6065
-4.2131 -2.5645 0.4874
0.8344 -0.4463 4.8651
O Nb Fe Pt
1 2 1 1
Direct
0.5000 0.0000 0.0000
0.0000 0.0000 0.5000
0.0000 0.5000 0.0000
0.5000 0.5000 0.5000
0.0000 0.0000 0.0000
```

## Properties
space-group type	No. 123
V	91.0	Å³/cell
final energy	-155.926	eV/f.u.
E_form (uncorrected)	4.89	eV per formula unit
total magnetization	0.516	μB/atom

=====

Record 1
# LaGa4PdAu2

A relaxed LaGa4PdAu2 crystal (PBE, Alexandria via LeMat-Bulk).

Cell: 4.417 4.417 9.517 Å, 76.58 76.58 60.00°
Sites, in units of the cell vectors:
Ga: 0.599 0.599 0.203
Ga: 0.867 0.867 0.400
Ga: 0.401 0.401 0.797
Ga: 0.133 0.133 0.600
La: 0.000 0.000 0.000
Au: 0.756 0.756 0.733
Au: 0.244 0.244 0.267
Pd: 0.500 0.500 0.500

Output
The total magnetic moment is 0.000 μB/f.u. Its final energy is -32.85 eV for the cell shown.

***

Record 2
# Pr4Cd5In

A relaxed Pr4Cd5In crystal (PBE, Alexandria via LeMat-Bulk).

Cell: 5.270 6.709 8.644 Å, 104.57 107.75 90.00°
Sites, in units of the cell vectors:
Pr: 0.310 0.674 0.621
Pr: 0.097 0.867 0.194
Pr: 0.690 0.326 0.379
Pr: 0.903 0.133 0.806
Cd: 0.709 0.831 0.419
Cd: 0.905 0.608 0.811
Cd: 0.500 0.500 0.000
Cd: 0.095 0.392 0.189
Cd: 0.291 0.169 0.581
In: 0.500 0.000 0.000

Output
The total magnetic moment is 0.000 μB/f.u. Its final energy is -29.81 eV for the cell shown.

***

> What is the final energy in the first record?

-32.85 eV for the cell shown

***

> Number 1 is which compound?

LaGa4PdAu2

***

> Number 2 is which compound?

Pr4Cd5In

=====

No. 1
The following is a GGA-PBE calculation of crystalline Pm6Pr2DyY at its relaxed geometry, from Alexandria.

## Properties
calculated formation energy	0.112	eV per atom

Unit cell a=8.9673 b=8.9673 c=9.9127 alpha=94.60 beta=94.60 gamma=118.43
With the nearest neighbours (Å) after each atom.
Positions (direct):
Pm (0.0199, 0.5762, 0.1878)  4 Pm 3.32-3.72, 1 Pr 3.46, 1 Y 3.51, 1 Dy 3.64
Pm (0.1230, 0.7501, 0.5556)  7 Pm 3.45-3.85, 1 Pr 3.54, 1 Dy 3.70
Pm (0.2499, 0.8770, 0.9444)  7 Pm 3.45-3.85, 1 Pr 3.54, 1 Dy 3.70
Pm (0.2913, 0.5004, 0.3793)  3 Pr 3.30-3.52, 4 Pm 3.32-3.65, 2 Y 3.49-3.65
Pm (0.4238, 0.9801, 0.3122)  4 Pm 3.32-3.72, 1 Pr 3.46, 1 Y 3.51, 1 Dy 3.64
Pm (0.5004, 0.2913, 0.8793)  3 Pr 3.30-3.52, 4 Pm 3.32-3.65, 2 Y 3.49-3.65
Pm (0.4996, 0.7087, 0.1207)  3 Pr 3.30-3.52, 4 Pm 3.32-3.65, 2 Y 3.49-3.65
Pm (0.5762, 0.0199, 0.6878)  4 Pm 3.32-3.72, 1 Pr 3.46, 1 Y 3.51, 1 Dy 3.64
Pm (0.7087, 0.4996, 0.6207)  3 Pr 3.30-3.52, 4 Pm 3.32-3.65, 2 Y 3.49-3.65
Pm (0.7501, 0.1230, 0.0556)  7 Pm 3.45-3.85, 1 Pr 3.54, 1 Dy 3.70
Pm (0.8770, 0.2499, 0.4444)  7 Pm 3.45-3.85, 1 Pr 3.54, 1 Dy 3.70
Pm (0.9801, 0.4238, 0.8122)  4 Pm 3.32-3.72, 1 Pr 3.46, 1 Y 3.51, 1 Dy 3.64
Pr (0.1941, 0.2956, 0.0411)  5 Pm 3.30-3.54, 2 Dy 3.40-3.45, 1 Y 3.63
Pr (0.2956, 0.1941, 0.5411)  5 Pm 3.30-3.54, 2 Dy 3.40-3.45, 1 Y 3.63
-- stop --
## The text goes on

Discovering best-in-class solutions across industries gives me inspiration. Working with talented, committed people towards a shared purpose makes me feel at home here at Oomph.

When I’m not at work, you might find me traveling with my husband and kids, or trying out new recipes on friends and family. Once in a while, you might even find me onstage — I love improv and karaoke!